Highlighted publications
Saar, O. P. (2017). Jewish Love Magic: From Late Antiquity to the Middle Ages. (Magical and Religious Literature of Late Antiquity; Vol. 6). Brill.
Saar, O. P., Bhayro, S., Levene, D., & Ford, J. N. (2018). Aramaic Magic Bowls in the Vorderasiatisches Museum in Berlin: Descriptive List and Edition of Selected Texts. (Magical and Religious Literature of Late Antiquity; Vol. 7). Brill.
Rutgers, L. V., & Saar, O. P. (Eds.) (2023). Letters in the Dust: The Epigraphy and Archaeology of Medieval Jewish Cemeteries. (Interdisciplinary Studies in Ancient Culture and Religion; Vol. 23). Peeters.
Scholarly publications
Saar, O.-P., & Peled, I. (2024). Spells for Separation and the Dog-Pig Symbolism from Mesopotamia to the Cairo Geniza: Submitted to journal. Manuscript submitted for publication.
Saar, O.-P., & van Eijnatten, J. (2024). Computing Angel Names in Jewish Magic. Manuscript submitted for publication.
Saar, O.-P. (Accepted/In press). Men, Women and Children? Some Gender Aspects in Mesopotamian Incantation Bowls. In A. Warren, & J. S. Mokhtarian (Eds.), The Aramaic Incantation Bowls in Their Late Antique Jewish Contexts (Brown Judaic Studies). Brown University.
Scholarly publications
Saar, O.-P. (2023). Sensorial Aspects of Jewish Funerary Culture in Late Antiquity. Paper presented at European Association of Jewish Studies (EAJS) 12th Congress, Frankfurt, Germany.
Saar, O.-P., & van Eijnatten, J. (2023).
Computing Angel Names in Jewish Magic. Paper presented at ADHO Digital Humanities Conference 2023, Graz, Austria.
https://doi.org/10.5281/zenodo.8148465 Saar, O. P. (2023). Cruel and Unusual: Atypical Demise in Jewish Funerary Inscriptions. In O.-P. Saar, & L. Rutgers (Eds.), Letters in the Dust: The Epigraphy and Archaeology of Medieval Jewish Cemeteries (pp. 65-96). (Interdisciplinary Studies in Ancient Culture and Religion; Vol. 23). Peeters.
Rutgers, L. V., & Saar, O. P. (Eds.) (2023). Letters in the Dust: The Epigraphy and Archaeology of Medieval Jewish Cemeteries. (Interdisciplinary Studies in Ancient Culture and Religion; Vol. 23). Peeters.
Scholarly publications
Scholarly publications
Saar, O. P. (2021).
Book Review: Attilio Mastrocinque, Joseph E. Sanzo, and Marianna Scapini (eds.), Ancient Magic: Then and Now (Potsdamer Altertumswissenschaftliche Beiträge 74), Stuttgart: Franz Steiner Verlag, 2020. 451 pages, 53 b/w illustrations. ISBN 978-3-515-12796-7 (Print), ISB.
Scripta Classica Israelica,
40, 213-215.
https://scriptaclassica.org/index.php/sci/article/view/5877https://dspace.library.uu.nl/bitstream/handle/1874/416141/Saar_Review_of_Mastrocinque_Sanzo_and_Scapini_Ancient_Magic_Then_and_Now.pdf?sequence=1 2020
Scholarly publications
Saar, O. P. (2020).
[Attached: calculated crystals]
┌──
Entry 1:
Sm8Dy2Hg: optimized geometry, PBE.

Summary:
Electronic total energy: -4.280 eV/atom

CIF file:
```
data_Sm8Dy2Hg
_cell_length_a 18.0863
_cell_length_b 5.5680
_cell_length_c 7.7835
_cell_angle_alpha 90.00
_cell_angle_beta 112.31
_cell_angle_gamma 90.00
_space_group_name_H-M_alt 'C 1 2/m 1'
_space_group_IT_number 12
loop_
_space_group_symop_operation_xyz
'x,y,z'
'-x,-y,-z'
'-x,y,-z'
'x,-y,z'
'x+1/2,y+1/2,z'
'-x+1/2,-y+1/2,-z'
'-x+1/2,y+1/2,-z'
'x+1/2,-y+1/2,z'
loop_
_atom_site_label
_atom_site_fract_x
_atom_site_fract_y
_atom_site_fract_z
Sm1 0.0070 0.0000 0.2517
Sm2 0.1192 0.5000 0.9200
Sm3 0.1541 0.5000 0.4051
Sm4 0.1807 0.0000 0.7122
Dy1 0.1900 0.0000 0.1665
Hg1 0.0000 0.5000 0.5000
```

=====

Entry 2:
ZrCo2Tc: optimized geometry, PBE.

Summary:
Excess energy over the best structure of this formula in the dataset: 0.535 eV per atom

CIF file:
```
data_ZrCo2Tc
_cell_length_a 3.8575
_cell_length_b 3.8575
_cell_length_c 17.0785
_cell_angle_alpha 90.00
_cell_angle_beta 90.00
_cell_angle_gamma 90.00
_space_group_name_H-M_alt 'I -4 2 d'
_space_group_IT_number 122
_space_group_name_Hall 'I -4 2bw'
loop_
_atom_site_label
_atom_site_fract_x
_atom_site_fract_y
_atom_site_fract_z
Zr1 0.0000 0.0000 0.0000
Co1 0.1954 0.2500 0.6250
Tc1 0.0000 0.0000 0.5000
```


LiThNiP2 | PBE | optimized geometry

a = 5.1387 Å, b = 6.1068 Å, c = 5.3345 Å
α = 90.00°, β = 90.00°, γ = 90.00°
Last column: nearest neighbours and their distance in Å.
Atoms (fractional coordinates):
1 Li 0.2500 0.0000 0.0850  2 P 2.45, 2 Ni 2.56, 2 Li 2.72
2 Li 0.7500 0.0000 0.9150  2 P 2.45, 2 Ni 2.56, 2 Li 2.72
3 Th 0.2500 0.5000 0.2623  6 P 2.91-3.00, 2 Li 3.20
4 Th 0.7500 0.5000 0.7377  6 P 2.91-3.00, 2 Li 3.20
5 Ni 0.0000 0.0000 0.5000  4 P 2.32, 2 Li 2.56, 2 Ni 2.57
6 Ni 0.5000 0.0000 0.5000  4 P 2.32, 2 Li 2.56, 2 Ni 2.57
7 P 0.2500 0.2477 0.7243  2 Ni 2.32, 1 Li 2.45
8 P 0.2500 0.7523 0.7243  2 Ni 2.32, 1 Li 2.45
9 P 0.7500 0.2477 0.2757  2 Ni 2.32, 1 Li 2.45
10 P 0.7500 0.7523 0.2757  2 Ni 2.32, 1 Li 2.45

Properties
ΔH_f (0 K) = -3.95 eV per formula unit
Fermi-level density of states = 0.510 states/eV/atom
Mass density = 7.13 Mg/m³
Space group = Pmma (51)
└──
PEACE: Portal of Epigraphy, Archaeology, Conservation and Education on Jewish Funerary Culture. Web publication/site, Utrecht University.
https://peace.sites.uu.nl/ Saar, O. P. (2020).
Calendars: Jewish Traditions and Practices in the Medieval World. In M. Heiduk, K. Herbers, & H.-C. Lehner (Eds.),
Prognostication in the Medieval World: A Handbook (pp. 633-635). (De Gruyter Reference). De Gruyter.
https://doi.org/10.1515/9783110499773-035 Saar, O. P. (2020).
Divination and Prognostication in the Cairo Genizah. In M. Heiduk, K. Herbers, & H.-C. Lehner (Eds.),
Prognostication in the Medieval World: A Handbook (pp. 746-751). (De Gruyter Reference). De Gruyter.
https://doi.org/10.1515/9783110499773-047 2019
Scholarly publications
Professional publications
Saar, O. P. (2019). Fire Symbolism in Late-Antique and Medieval Jewish Love Magic. Groniek, 220, 311-321.
Scholarly publications
Saar, O. P., Bhayro, S., Levene, D., & Ford, J. N. (2018). Aramaic Magic Bowls in the Vorderasiatisches Museum in Berlin: Descriptive List and Edition of Selected Texts. (Magical and Religious Literature of Late Antiquity; Vol. 7). Brill.
Saar, O. P. (2018). Mesopotamian Double-Jar Burials and Incantation Bowls. Journal of the American Oriental Society, 138(4), 863-873.
Scholarly publications
Saar, O. P. (2017). Jewish Love Magic: From Late Antiquity to the Middle Ages. (Magical and Religious Literature of Late Antiquity; Vol. 6). Brill.
Scholarly publications
Saar, O. P. (2016).
Review of Antonio E. Felle and Anita Rocco (eds.), Off the Beaten Track: Epigraphy at the Borders, Bryn Mawr Classical Review 2016.12.30. Bryn Mawr Classical Review, (2016.12.30).
http://www.bmcreview.org/2016/12/20161230.html 2015
Scholarly publications
Scholarly publications
Scholarly publications
Popularising publications
Saar, O. P. (2010). Magic in the Cairo Genizah. In F. Vukosavovic (Ed.), Angels and Demons: Jewish Magic through the Ages (pp. 146). Bible Lands Museum Jerusalem.
Saar, O. P. (2010). Jewish Magic in Eretz-Israel during Late Antiquity and the Byzantine Period. In F. Vukosavovic (Ed.), Angels and Demons: Jewish Magic through the Ages (pp. 16-21). Bible Lands Museum Jerusalem.
Scholarly publications